Source:
'''
[1]
# GGA-PBE MnP2Ir, relaxed
data_MnP2Ir
_chemical_formula_sum 'Mn3 P6 Ir3'
_symmetry_space_group_name_H-M 'R -3 m'
_symmetry_Int_Tables_number 166
_symmetry_space_group_name_Hall '-R 3 2"'
_cell_length_a 2.8342
_cell_length_b 2.8342
_cell_length_c 21.5970
_cell_angle_alpha 90.00
_cell_angle_beta 90.00
_cell_angle_gamma 120.00
loop_
_atom_site_label
_atom_site_type_symbol
_atom_site_fract_x
_atom_site_fract_y
_atom_site_fract_z
_atom_site_occupancy
Mn1 Mn 0.0000 0.0000 0.0000 1
P1 P 0.0000 0.0000 0.2568 1
Ir1 Ir 0.0000 0.0000 0.5000 1
# Distance to the lowest polymorph of the same formula in eV/f.u.: 0.721

---

[2]
Density functional theory data (GGA-PBE) for crystalline Mn4PIr at its relaxed geometry.

Geometry as CIF:
```
data_Mn4PIr
_chemical_formula_sum 'Mn16 P4 Ir4'
_symmetry_space_group_name_H-M 'F -4 3 m'
_symmetry_Int_Tables_number 216
_symmetry_space_group_name_Hall 'F -4 2 3'
_cell_length_a 6.613
_cell_length_b 6.613
_cell_length_c 6.613
_cell_angle_alpha 90.00
_cell_angle_beta 90.00
_cell_angle_gamma 90.00
loop_
_atom_site_label
_atom_site_type_symbol
_atom_site_fract_x
_atom_site_fract_y
_atom_site_fract_z
_atom_site_occupancy
Mn1 Mn 0.125 0.125 0.125 1
P1 P 0.000 0.000 0.500 1
Ir1 Ir 0.250 0.250 0.750 1
```

---

[3]
# GGA-PBE MnP2Ir, relaxed
data_MnP2Ir
_chemical_formula_sum 'Mn2 P4 Ir2'
_symmetry_space_group_name_H-M 'C 1 2/m 1'
_symmetry_Int_Tables_number 12
_cell_length_a 7.328
_cell_length_b 2.842
_cell_length_c 4.898
_cell_angle_alpha 90.00
_cell_angle_beta 102.50
_cell_angle_gamma 90.00
loop_
_symmetry_equiv_pos_as_xyz
'x,y,z'
'-x,-y,-z'
'-x,y,-z'
'x,-y,z'
'x+1/2,y+1/2,z'
'-x+1/2,-y+1/2,-z'
'-x+1/2,y+1/2,-z'
'x+1/2,-y+1/2,z'
loop_
_atom_site_label
_atom_site_type_symbol
_atom_site_fract_x
_atom_site_fract_y
_atom_site_fract_z
_atom_site_occupancy
Mn1 Mn 0.000 0.000 0.000 1
P1 P 0.244 0.500 0.220 1
Ir1 Ir 0.000 0.500 0.500 1
# Distance to the lowest polymorph of the same formula in eV/f.u.: 0.626

---

[4]
Density functional theory data (GGA-PBE) for crystalline Mn2PIr at its relaxed geometry.

Geometry as CIF:
```
data_Mn2PIr
_chemical_formula_sum 'Mn2 P1 Ir1'
_symmetry_space_group_name_H-M 'P 4 m m'
_symmetry_Int_Tables_number 99
_cell_length_a 2.820
_cell_length_b 2.820
_cell_length_c 6.307
_cell_angle_alpha 90.00
_cell_angle_beta 90.00
_cell_angle_gamma 90.00
loop_
_symmetry_equiv_pos_as_xyz
'x,y,z'
'-y,x,z'
'-x,-y,z'
'y,-x,z'
'-x,y,z'
'y,x,z'
'x,-y,z'
'-y,-x,z'
loop_
_atom_site_label
_atom_site_type_symbol
_atom_site_fract_x
_atom_site_fract_y
_atom_site_fract_z
_atom_site_occupancy
Mn1 Mn 0.000 0.000 0.000 1
Mn2 Mn 0.500 0.500 0.270 1
P1 P 0.000 0.000 0.455 1
Ir1 Ir 0.500 0.500 0.705 1
```

---

[5]
Density functional theory data (GGA-PBE) for crystalline Pa2MnP4Ir3 at its relaxed geometry.

Geometry as CIF:
```
data_Pa2MnP4Ir3
_chemical_formula_sum 'Pa2 Mn1 P4 Ir3'
_symmetry_space_group_name_H-M 'P -4 m 2'
_symmetry_Int_Tables_number 115
_cell_length_a 4.133
_cell_length_b 4.133
_cell_length_c 9.353
_cell_angle_alpha 90.00
_cell_angle_beta 90.00
_cell_angle_gamma 90.00
loop_
_symmetry_equiv_pos_as_xyz
'x,y,z'
'y,-x,-z'
'-x,-y,z'
'-y,x,-z'
'-x,y,z'
'-y,-x,-z'
'x,-y,z'
'y,x,-z'
loop_
_atom_site_label
_atom_site_type_symbol
_atom_site_fract_x
_atom_site_fract_y
_atom_site_fract_z
_atom_site_occupancy
Pa1 Pa 0.000 0.500 0.247 1
Mn1 Mn 0.500 0.500 0.000 1
P1 P 0.000 0.000 0.500 1
P2 P 0.000 0.500 0.869 1
P3 P 0.500 0.500 0.500 1
Ir1 Ir 0.000 0.000 0.000 1
Ir2 Ir 0.000 0.500 0.617 1
```

---

[6]
Density functional theory data (GGA-PBE) for crystalline Pm2MnP3Ir4 at its relaxed geometry.

Geometry as CIF:
```
data_Pm2MnP3Ir4
_chemical_formula_sum 'Pm2 Mn1 P3 Ir4'
_symmetry_space_group_name_H-M 'P -4 m 2'
_symmetry_Int_Tables_number 115
_cell_length_a 4.105
_cell_length_b 4.105
_cell_length_c 9.914
_cell_angle_alpha 90.00
_cell_angle_beta 90.00
_cell_angle_gamma 90.00
loop_
_symmetry_equiv_pos_as_xyz
'x,y,z'
'y,-x,-z'
'-x,-y,z'
'-y,x,-z'
'-x,y,z'
'-y,-x,-z'
'x,-y,z'
'y,x,-z'
loop_
_atom_site_label
'''

Job:
The reader should say how many lines of the lines earlier on hold the word "data", as a bare number.

Worked solution:
4